**Entries:**
<<<
Entry 1:
Entry from OMol25: a molecular structure, C38H111InNO22S3 (ωB97M-V/def2-TZVPD).

Last column: Löwdin charge in e.
Geometry (Å):
1 H -1.4688 -2.0411 -7.4392  0.08
2 H -6.3011 2.8271 -8.1480  0.07
3 In -0.7017 1.5178 3.4889  0.82
4 H -5.6129 3.6682 -0.7952  0.06
5 H -5.8341 3.4033 -6.5299  0.07
6 S -1.7537 -1.2477 1.8914  0.64
7 C -3.6188 2.6345 3.6389  -0.25
8 O -3.0197 -2.9905 -6.4862  -0.12
9 C 1.0880 2.7517 2.7804  -0.26
10 C -6.6299 3.3983 -7.2797  -0.17
11 H 5.5888 1.2432 -2.4824  0.02
12 H -1.4766 -3.4543 5.9397  0.08
13 C 8.8284 -4.3891 -0.5290  -0.16
14 H -3.3151 0.0165 -6.0714  0.05
15 H 16.0051 -5.4673 -3.0599  0.08
16 H -5.9598 -4.5087 7.5658  0.08
17 H -0.8272 -4.0328 -1.4586  0.07
18 H -1.9704 1.9238 8.5839  0.08
19 H -4.0962 2.6884 -0.6840  0.09
20 C -5.1125 -4.4519 9.3073  -0.16
21 H -3.6978 -1.8530 7.4031  0.12
22 H -4.5988 -5.4092 9.1834  0.07
23 C -3.0676 -0.9670 5.4346  -0.08
24 O -4.6129 4.4642 1.3878  0.06
25 H -9.4410 7.4039 -6.1370  0.09
26 H 4.7534 0.0533 -0.9841  0.10
27 H -3.0231 6.1530 1.0838  0.05
28 H -5.0950 1.2390 1.2314  0.11
29 C 2.6141 -1.5171 -1.1115  -0.23
30 C -2.0521 6.6329 1.2013  -0.15
31 S 2.7593 0.8216 -3.3396  0.58
32 H -0.3512 0.2274 8.4561  0.12
33 H -6.1558 -5.4950 -0.3975  0.08
34 H -7.2069 5.2157 -6.8984  0.01
35 C -2.7705 -1.8303 6.7404  -0.35
36 H -2.9622 -1.0207 2.5707  0.07
37 H 2.0396 -2.4923 -8.3493  0.08
38 C -4.9778 3.3660 1.8203  -0.42
39 H 3.6700 -1.9037 -0.9375  0.10
40 H 0.5897 0.9695 0.6636  0.04
41 C 4.8352 -4.3847 -1.9707  -0.17
42 C -1.1001 0.1091 7.5933  -0.31
43 H 1.2909 3.6478 3.4438  0.03
44 C 2.1308 0.8261 -1.7749  -1.01
45 H 3.9014 1.5456 -0.3790  0.12
46 C -2.3484 1.5641 -5.4288  -0.16
47 H 4.5506 -1.1136 1.1871  0.06
48 H -0.0836 -1.3131 3.6314  0.04
49 C 15.7105 -5.7559 -2.0515  -0.16
50 H 15.6180 -4.8605 -1.4313  0.07
51 H 11.8515 -5.0320 -2.0393  0.08
52 H -8.1931 8.4069 -5.3589  0.08
53 H -5.0266 5.8844 -1.0710  0.06
54 C 4.1731 -0.0496 1.2257  -0.07
55 O -1.9415 -2.7391 -2.6000  -0.12
56 H -0.5625 7.1272 0.0587  0.07
57 H 1.8913 3.5334 0.7948  0.09
58 H 0.7522 0.9885 6.5774  0.11
59 H -2.5117 -4.5431 -1.7903  0.06
60 O -7.6690 6.4479 -5.7442  -0.13
61 H 13.2306 -3.5390 -0.9766  0.07
62 H -1.0114 -3.0105 -6.0203  0.06
63 O 11.4163 -4.3914 -1.4624  -0.16
64 H 3.1908 0.0370 1.8052  0.07
65 H 5.4739 -3.6520 -1.4800  0.07
66 H 9.5830 -5.0559 -0.1104  0.07
67 O 14.4595 -6.4272 -2.1113  -0.13
68 H 12.3929 -2.8326 -2.3937  0.08
69 H 0.5969 -2.3555 -0.4986  0.06
70 C 1.6759 -2.4278 -0.1528  -0.06
71 H -5.0657 -5.2098 0.9814  0.08
72 C -5.5696 2.2029 0.8819  -0.13
73 O -6.9166 4.7276 -7.6877  -0.15
74 H -1.5699 -1.8070 8.5935  0.11
75 H 9.1214 -4.1015 -1.5351  0.07
76 O -4.1363 9.1207 -3.6450  -0.13
77 H 6.4303 -0.7884 -3.1378  0.07
78 H 7.3375 -5.3037 0.3135  0.08
79 C -5.2312 2.6097 -0.6161  -0.10
80 H 5.6205 -2.9451 4.8874  0.07
81 C 0.8913 3.1914 1.2365  -0.33
82 H -1.2850 -4.6188 -3.0793  0.08
83 H 0.1227 4.0411 1.1988  0.09
84 H -7.5296 2.9358 -6.8637  0.07
85 O 5.6478 -2.2692 2.9350  -0.15
86 H -2.2422 3.3347 1.9364  0.05
87 H -3.8817 7.9153 -1.9880  0.05
88 O -4.9264 3.1223 3.2077  -0.08
89 H 8.7366 -3.4922 0.0913  0.08
90 H 11.7978 -2.5067 -0.7473  0.08
91 C -3.2818 8.4236 -2.7461  -0.15
92 H -5.6715 1.8741 -1.3526  0.08
93 H 4.8442 -1.3572 4.6053  0.08
94 C -0.2837 -0.5920 2.7652  -0.34
95 C 1.8882 -2.9152 -7.3526  -0.15
96 O -3.4910 0.7209 -5.4367  -0.13
97 H -0.5012 -1.9882 7.1332  0.11
98 H -3.7183 -1.6243 4.7534  0.08
99 H -1.4706 0.9886 -5.1231  0.07
100 C -2.5656 2.3916 2.4775  -0.22
101 H -3.9467 -3.7175 -0.3588  0.06
102 H -6.2377 7.8140 -1.3601  0.07
103 H 5.4574 -5.0918 -2.5241  0.07
104 O 7.5740 -5.0606 -0.5886  -0.13
105 H -6.0440 -4.5986 9.8607  0.07
106 H -9.0721 7.1677 -4.4117  0.07
107 H 1.7143 -2.1078 -6.6416  0.08
108 H -3.6793 -0.0297 5.6183  0.07
109 H 4.2482 -4.9156 -1.2156  0.08
110 H -4.4399 -5.9557 -0.5204  0.07
111 O 3.9633 -3.7078 -2.8681  -0.14
112 C 5.0049 -2.3593 4.1994  -0.15
113 H 6.0963 0.3069 -4.5146  0.07
>>>

**Activity:**
Please reproduce the block above character by character.

**Done:**
Entry 1:
Entry from OMol25: a molecular structure, C38H111InNO22S3 (ωB97M-V/def2-TZVPD).

Last column: Löwdin charge in e.
Geometry (Å):
1 H -1.4688 -2.0411 -7.4392  0.08
2 H -6.3011 2.8271 -8.1480  0.07
3 In -0.7017 1.5178 3.4889  0.82
4 H -5.6129 3.6682 -0.7952  0.06
5 H -5.8341 3.4033 -6.5299  0.07
6 S -1.7537 -1.2477 1.8914  0.64
7 C -3.6188 2.6345 3.6389  -0.25
8 O -3.0197 -2.9905 -6.4862  -0.12
9 C 1.0880 2.7517 2.7804  -0.26
10 C -6.6299 3.3983 -7.2797  -0.17
11 H 5.5888 1.2432 -2.4824  0.02
12 H -1.4766 -3.4543 5.9397  0.08
13 C 8.8284 -4.3891 -0.5290  -0.16
14 H -3.3151 0.0165 -6.0714  0.05
15 H 16.0051 -5.4673 -3.0599  0.08
16 H -5.9598 -4.5087 7.5658  0.08
17 H -0.8272 -4.0328 -1.4586  0.07
18 H -1.9704 1.9238 8.5839  0.08
19 H -4.0962 2.6884 -0.6840  0.09
20 C -5.1125 -4.4519 9.3073  -0.16
21 H -3.6978 -1.8530 7.4031  0.12
22 H -4.5988 -5.4092 9.1834  0.07
23 C -3.0676 -0.9670 5.4346  -0.08
24 O -4.6129 4.4642 1.3878  0.06
25 H -9.4410 7.4039 -6.1370  0.09
26 H 4.7534 0.0533 -0.9841  0.10
27 H -3.0231 6.1530 1.0838  0.05
28 H -5.0950 1.2390 1.2314  0.11
29 C 2.6141 -1.5171 -1.1115  -0.23
30 C -2.0521 6.6329 1.2013  -0.15
31 S 2.7593 0.8216 -3.3396  0.58
32 H -0.3512 0.2274 8.4561  0.12
33 H -6.1558 -5.4950 -0.3975  0.08
34 H -7.2069 5.2157 -6.8984  0.01
35 C -2.7705 -1.8303 6.7404  -0.35
36 H -2.9622 -1.0207 2.5707  0.07
37 H 2.0396 -2.4923 -8.3493  0.08
38 C -4.9778 3.3660 1.8203  -0.42
39 H 3.6700 -1.9037 -0.9375  0.10
40 H 0.5897 0.9695 0.6636  0.04
41 C 4.8352 -4.3847 -1.9707  -0.17
42 C -1.1001 0.1091 7.5933  -0.31
43 H 1.2909 3.6478 3.4438  0.03
44 C 2.1308 0.8261 -1.7749  -1.01
45 H 3.9014 1.5456 -0.3790  0.12
46 C -2.3484 1.5641 -5.4288  -0.16
47 H 4.5506 -1.1136 1.1871  0.06
48 H -0.0836 -1.3131 3.6314  0.04
49 C 15.7105 -5.7559 -2.0515  -0.16
50 H 15.6180 -4.8605 -1.4313  0.07
51 H 11.8515 -5.0320 -2.0393  0.08
52 H -8.1931 8.4069 -5.3589  0.08
53 H -5.0266 5.8844 -1.0710  0.06
54 C 4.1731 -0.0496 1.2257  -0.07
55 O -1.9415 -2.7391 -2.6000  -0.12
56 H -0.5625 7.1272 0.0587  0.07
57 H 1.8913 3.5334 0.7948  0.09
58 H 0.7522 0.9885 6.5774  0.11
59 H -2.5117 -4.5431 -1.7903  0.06
60 O -7.6690 6.4479 -5.7442  -0.13
61 H 13.2306 -3.5390 -0.9766  0.07
62 H -1.0114 -3.0105 -6.0203  0.06
63 O 11.4163 -4.3914 -1.4624  -0.16
64 H 3.1908 0.0370 1.8052  0.07
65 H 5.4739 -3.6520 -1.4800  0.07
66 H 9.5830 -5.0559 -0.1104  0.07
67 O 14.4595 -6.4272 -2.1113  -0.13
68 H 12.3929 -2.8326 -2.3937  0.08
69 H 0.5969 -2.3555 -0.4986  0.06
70 C 1.6759 -2.4278 -0.1528  -0.06
71 H -5.0657 -5.2098 0.9814  0.08
72 C -5.5696 2.2029 0.8819  -0.13
73 O -6.9166 4.7276 -7.6877  -0.15
74 H -1.5699 -1.8070 8.5935  0.11
75 H 9.1214 -4.1015 -1.5351  0.07
76 O -4.1363 9.1207 -3.6450  -0.13
77 H 6.4303 -0.7884 -3.1378  0.07
78 H 7.3375 -5.3037 0.3135  0.08
79 C -5.2312 2.6097 -0.6161  -0.10
80 H 5.6205 -2.9451 4.8874  0.07
81 C 0.8913 3.1914 1.2365  -0.33
82 H -1.2850 -4.6188 -3.0793  0.08
83 H 0.1227 4.0411 1.1988  0.09
84 H -7.5296 2.9358 -6.8637  0.07
85 O 5.6478 -2.2692 2.9350  -0.15
86 H -2.2422 3.3347 1.9364  0.05
87 H -3.8817 7.9153 -1.9880  0.05
88 O -4.9264 3.1223 3.2077  -0.08
89 H 8.7366 -3.4922 0.0913  0.08
90 H 11.7978 -2.5067 -0.7473  0.08
91 C -3.2818 8.4236 -2.7461  -0.15
92 H -5.6715 1.8741 -1.3526  0.08
93 H 4.8442 -1.3572 4.6053  0.08
94 C -0.2837 -0.5920 2.7652  -0.34
95 C 1.8882 -2.9152 -7.3526  -0.15
96 O -3.4910 0.7209 -5.4367  -0.13
97 H -0.5012 -1.9882 7.1332  0.11
98 H -3.7183 -1.6243 4.7534  0.08
99 H -1.4706 0.9886 -5.1231  0.07
100 C -2.5656 2.3916 2.4775  -0.22
101 H -3.9467 -3.7175 -0.3588  0.06
102 H -6.2377 7.8140 -1.3601  0.07
103 H 5.4574 -5.0918 -2.5241  0.07
104 O 7.5740 -5.0606 -0.5886  -0.13
105 H -6.0440 -4.5986 9.8607  0.07
106 H -9.0721 7.1677 -4.4117  0.07
107 H 1.7143 -2.1078 -6.6416  0.08
108 H -3.6793 -0.0297 5.6183  0.07
109 H 4.2482 -4.9156 -1.2156  0.08
110 H -4.4399 -5.9557 -0.5204  0.07
111 O 3.9633 -3.7078 -2.8681  -0.14
112 C 5.0049 -2.3593 4.1994  -0.15
113 H 6.0963 0.3069 -4.5146  0.07